........
Calculated X-ray powder pattern
Compound: MgTe4MoW2S2
Radiation: Cu Kα (weighted mean of Kα1 and Kα2)
Structure: a PBE-relaxed structure
No peak broadening, texture or thermal motion is included.

Top 10 peaks for 2θ from 10° to 90°, low angle first:
Position (°2θ), d [Å], I/Imax, index
11.6, 7.618, 66, 0 0 5
30.3, 2.951, 75, 1 0 0
31.7, 2.820, 38, 0 1 4
33.5, 2.677, 56, 1 0 6
34.6, 2.595, 61, 0 1 7
37.1, 2.422, 30, 0 1 9
38.6, 2.334, 55, 1 0 10
40.1, 2.247, 100, 1 0 11
53.8, 1.704, 50, 1 1 0
69.2, 1.358, 33, 0 2 11

Structural model:
Lattice parameters (Å, degrees): 3.4095 3.4095 38.0921 90.00 90.00 120.00
Sites, in units of the cell vectors:
1 Mg 0.0000 0.0000 0.0000
2 Te 0.6667 0.3333 0.2923
3 Te 0.6667 0.3333 0.3909
4 Te 0.6667 0.3333 0.8240
5 Te 0.6667 0.3333 0.9225
6 Mo 0.3333 0.6667 0.8731
7 W 0.3333 0.6667 0.3416
8 W 0.6667 0.3333 0.1198
9 S 0.3333 0.6667 0.0803
10 S 0.3333 0.6667 0.1591

----------

# 1
Structure and calculated powder X-ray diffraction pattern of Ca3PmSb2P (a PBE-relaxed structure; Cu Kα X-rays).

a b c (Å): 5.2157 5.4086 16.2756
angles (deg): 90.00 90.00 90.00
Space group Immm (No. 71)
Symmetry-distinct sites (fractional):
Ca1 0.0000 0.0000 0.0000 x2
Ca2 0.0000 0.5000 0.3251 x4
Pm1 0.0000 0.0000 0.5000 x2
Sb1 0.0000 0.5000 0.1334 x4
P1 0.0000 0.5000 0.5000 x2

The 10 most intense peaks (2θ from 15° to 90°), sorted by position:
- hkl 0 1 1, 17.28°, intensity 37.4
- hkl 1 0 3, 23.67°, intensity 44.1
- hkl 1 1 2, 26.14°, intensity 42.2
- hkl 1 1 4, 32.44°, intensity 100.0
- hkl 0 0 6, 33.02°, intensity 14.8
- hkl 0 2 0, 33.13°, intensity 31.1
- hkl 2 0 0, 34.39°, intensity 28.0
- hkl 1 2 5, 47.03°, intensity 15.3
- hkl 2 2 0, 48.47°, intensity 30.3
- hkl 3 1 4, 60.37°, intensity 16.3

=====

# 2
Structure and calculated powder X-ray diffraction pattern of CaPmPSe (a PBE-relaxed structure; Cu Kα X-rays).

a b c (Å): 4.1840 4.1840 20.6225
angles (deg): 90.00 90.00 120.00
Space group R3m (No. 160, hexagonal axes)
Symmetry-distinct sites (fractional):
Ca1 0.0000 0.0000 0.0000 x3
Pm1 0.0000 0.0000 0.5114 x3
P1 0.0000 0.0000 0.2516 x3
Se1 0.0000 0.0000 0.7543 x3

The 10 most intense peaks (2θ from 15° to 90°), sorted by position:
- hkl 1 0 1, 24.95°, intensity 24.7
- hkl 1 0 4, 30.15°, intensity 100.0
- hkl 0 1 5, 32.90°, intensity 15.4
- hkl 0 1 8, 43.06°, intensity 35.2
- hkl 1 1 0, 43.25°, intensity 36.7
- hkl 0 2 4, 53.62°, intensity 19.0
- hkl 2 0 8, 62.68°, intensity 11.3
- hkl 1 1 12, 70.98°, intensity 14.5
- hkl 2 1 4, 71.24°, intensity 16.0
- hkl 1 2 8, 79.20°, intensity 11.5
........

Your job: find "56," and "37.4" in the data further up, and set down these two lines and those between.

33.5, 2.677, 56, 1 0 6
34.6, 2.595, 61, 0 1 7
37.1, 2.422, 30, 0 1 9
38.6, 2.334, 55, 1 0 10
40.1, 2.247, 100, 1 0 11
53.8, 1.704, 50, 1 1 0
69.2, 1.358, 33, 0 2 11

Structural model:
Lattice parameters (Å, degrees): 3.4095 3.4095 38.0921 90.00 90.00 120.00
Sites, in units of the cell vectors:
1 Mg 0.0000 0.0000 0.0000
2 Te 0.6667 0.3333 0.2923
3 Te 0.6667 0.3333 0.3909
4 Te 0.6667 0.3333 0.8240
5 Te 0.6667 0.3333 0.9225
6 Mo 0.3333 0.6667 0.8731
7 W 0.3333 0.6667 0.3416
8 W 0.6667 0.3333 0.1198
9 S 0.3333 0.6667 0.0803
10 S 0.3333 0.6667 0.1591

----------

# 1
Structure and calculated powder X-ray diffraction pattern of Ca3PmSb2P (a PBE-relaxed structure; Cu Kα X-rays).

a b c (Å): 5.2157 5.4086 16.2756
angles (deg): 90.00 90.00 90.00
Space group Immm (No. 71)
Symmetry-distinct sites (fractional):
Ca1 0.0000 0.0000 0.0000 x2
Ca2 0.0000 0.5000 0.3251 x4
Pm1 0.0000 0.0000 0.5000 x2
Sb1 0.0000 0.5000 0.1334 x4
P1 0.0000 0.5000 0.5000 x2

The 10 most intense peaks (2θ from 15° to 90°), sorted by position:
- hkl 0 1 1, 17.28°, intensity 37.4